New South Wales and Victorian grain growers are urged to be on alert following confirmation that difficulties experienced in 2020 controlling wheat powdery mildew are linked to resistance of the pathogen to demethylase inhibitor (DMI, Group 3) fungicides.
Fungicide resistance was detected at frequencies ranging from 50 to 100 per cent in samples collected from paddocks around Albury, Rennie, Balldale, Deniliquin and Jerilderie in NSW, and Cobram and Katamatite in Victoria.
Further sampling revealed a wider NSW distribution, from around Hillston and Yenda in south-west NSW, as well as Edgeroi and Wee Waa in northern NSW, in similar frequencies. This marks the first time that resistance in wheat powdery mildew to DMIs has been detected in Australia.
Researchers from the Fungicide Resistance Group at the Centre for Crop and Disease Management (CCDM) – a co-investment by GRDC and Curtin University – confirmed the presence of DMI resistance in a range of samples sent by agronomists who were concerned about disease levels in their clients’ wheat crops during the 2020 season.
The wheat samples from across NSW and into Victoria were from predominantly Vixen and Scepter bread wheat varieties, and a lower number of durum wheat varieties.
Powdery mildew on leaves in a wheat crop. Image: GRDC
NSW Department of Primary Industries (DPI) cereal pathologist Steven Simpfendorfer says he is not entirely surprised some level of resistance was detected, but is surprised by the high frequency of the detections. He describes the detections as alarming and a wake-up call for industry.
“These detections have occurred predominantly in high-value, irrigated cropping regions, which create ideal conditions for wheat powdery mildew disease development,” Dr Simpfendorfer says.
He says that the reliance on DMI fungicides by many growers in the region over many years contributed to selecting for the fungicide resistance detected during this past season.
Strong collaborative networks were key to the rapid detection of this case of wheat powdery mildew DMI resistance.
Agronomists and growers collected 40 samples from 20 paddocks across NSW and Victoria and these were analysed by CCDM researchers in the laboratory.
Director of the CCDM, Mark Gibberd, praised his colleagues and collaborators for how quickly and effectively they worked together to detect this case of resistance.
“Recent case studies of fungicide resistance detections in WA, South Australia and now Victoria and New South Wales, demonstrate the importance of strong relationships and cross-institutional collaboration to deliver robust results that growers can act on,” Professor Gibberd says.
CCDM researcher Steven Chang says genetic and phenotypic analyses of the wheat powdery mildew pathogen isolated from the samples showed a combination of mutations in the DMI fungicide target gene that were associated with the resistance observed to some DMIs. Additionally, all samples tested had some level of strobilurin fungicide (Group 11) resistance.
CCDM’s fungicide resistance group leader Fran Lopez-Ruiz says CCDM researchers have run a monitoring program for fungicide resistance in wheat powdery mildew for many years. Thanks to this, they could determine that the mutations now found in NSW and Victoria were the same as those previously detected in Tasmania and SA.
The Australian grains crop protection market is dominated by only three major mode of action (MoA) groups to combat diseases of grain crops in Australia:
- the DMIs (Group 3)
- SDHIs (Group 7)
- strobilurins (or quinone outside inhibitors, QoIs, Group 11).
Having so few MoA groups available for use increases the risk of fungicide resistance developing, as growers have very few alternatives to rotate in order to reduce selection pressure for these fungicide groups.
With two of the three fungicide MoA groups now compromised in some paddocks in NSW and Victoria, all growers need to take care to implement fungicide resistance management strategies to maximise their chances of effective and long-term disease control.
The Australian Fungicide Resistance Extension Network (AFREN), a GRDC investment, suggests an integrated approach tailored to local growing conditions. AFREN has identified the following five key actions, ‘The Fungicide Resistance Five’, to help growers maintain control over fungicide resistance, regardless of their crop or growing region:
- Avoid susceptible crop varieties
- Rotate crops – use time and distance to reduce disease carry-over
- Use non-chemical control methods to reduce disease pressure
- Spray only if necessary and apply strategically
- Rotate and mix fungicides/MoA groups
_Calculated crystals, as found in the file_
~~~
The following is a simulated powder XRD pattern of NaNi4F10. It was derived from a crystal structure in Alexandria, relaxed with GGA+U, using λ = 1.5418 Å (Cu Kα).
Lines closer than 0.1° are merged.

Principal peaks in the range 2θ = 5–70°, by angle:
| hkl | 2theta | d [Å] | Rel. int. |
| --- | --- | --- | --- |
| 0 0 1 | 10.46 | 8.456 | 100 |
| 0 1 1 | 17.02 | 5.209 | 28 |
| 1 0 1 | 24.62 | 3.616 | 74 |
| 0 2 0 | 26.96 | 3.307 | 57 |
| 0 1 3 | 34.59 | 2.593 | 27 |
| 2 0 0 | 45.34 | 2.000 | 26 |

Structural model:
Unit cell a=4.001 b=6.614 c=8.456 alpha=90.00 beta=90.00 gamma=90.00
Positions (direct):
Na1 0.000 0.000 0.000
Ni1 0.000 0.000 0.614
Ni2 0.000 0.500 0.785
Ni3 0.500 0.000 0.330
Ni4 0.500 0.500 0.486
F1 0.000 0.000 0.376
F2 0.000 0.201 0.779
~~~
Growers and agronomists who suspect DMI reduced sensitivity or resistance should contact the CCDM’s Fungicide Resistance Group at Alternatively, contact a local regional plant pathologist or fungicide resistance expert to discuss the situation.
More information: information on fungicide resistance and its management in Australian grains crops, and a list of contacts is available on the AFREN website.